Course code Ekon3115
Credit points 3
Total Hours in Course81
Number of hours for lectures16
Number of hours for seminars and practical classes16
**What comes next are crystal structures, not part of the piece**
No. 1
Structure and computed XRD peak list of TbGd2Ge4Au4 (the GGA-PBE geometry in OQMD; Cu Kα X-rays).
Lines closer than 0.1° are merged.

Peak list (10 most intense, 10 to 90 degrees two-theta, by angle)
hkl  two_theta  d [Å]  I (rel.)
1 0 3  27.34  3.262  22
1 2 1  33.09  2.708  100
1 1 4  34.34  2.612  59
0 0 6  36.86  2.438  36
1 2 3  37.48  2.399  42
2 0 0  41.17  2.193  40
0 3 3  42.53  2.126  34
0 2 6  45.16  2.008  24
2 0 6  56.42  1.631  17
1 0 9  60.70  1.526  37

Cell and atoms:
```
data_TbGd2Ge4Au4
_chemical_formula_sum 'Tb2 Gd4 Ge8 Au8'
_space_group_name_H-M_alt 'I m m m'
_space_group_IT_number 71
_space_group_name_Hall '-I 2 2'
_cell_length_a 4.3852
_cell_length_b 7.0843
_cell_length_c 14.6385
_cell_angle_alpha 90.00
_cell_angle_beta 90.00
_cell_angle_gamma 90.00
loop_
_atom_site_label
_atom_site_type_symbol
_atom_site_fract_x
_atom_site_fract_y
_atom_site_fract_z
Tb1 Tb 0.0000 0.0000 0.0000
Gd1 Gd 0.0000 0.5000 0.1267
Ge1 Ge 0.0000 0.0000 0.2161
Ge2 Ge 0.0000 0.1847 0.5000
Au1 Au 0.0000 0.2986 0.3328
```


No. 2
Structure and computed XRD peak list of GdGeTe3Au (the GGA-PBE geometry in OQMD; Cu Kα X-rays).
Lines closer than 0.1° are merged.

Peak list (10 most intense, 10 to 90 degrees two-theta, by angle)
hkl  two_theta  d [Å]  I (rel.)
0 2 0  11.74  7.537  53
0 2 1  14.10  6.281  12
1 3 1  28.91  3.088  29
0 0 4  31.50  2.840  27
1 3 2  32.03  2.794  100
0 2 4  33.72  2.658  14
1 5 2  40.18  2.244  16
2 0 0  43.40  2.085  20
1 5 3  44.11  2.053  27
2 0 4  54.61  1.681  12

Cell and atoms:
```
data_GdGeTe3Au
_chemical_formula_sum 'Gd4 Ge4 Te12 Au4'
_space_group_name_H-M_alt 'C m c m'
_space_group_IT_number 63
_space_group_name_Hall '-C 2c 2'
_cell_length_a 4.1696
_cell_length_b 15.0748
_cell_length_c 11.3614
_cell_angle_alpha 90.00
_cell_angle_beta 90.00
_cell_angle_gamma 90.00
loop_
_atom_site_label
_atom_site_type_symbol
_atom_site_fract_x
_atom_site_fract_y
_atom_site_fract_z
Gd1 Gd 0.0000 0.0000 0.0000
Ge1 Ge 0.0000 0.1742 0.2500
Te1 Te 0.0000 0.0904 0.7500
Te2 Te 0.0000 0.3508 0.5546
Au1 Au 0.0000 0.4661 0.7500
```


No. 3
Structure and computed XRD peak list of GdHfAu6 (the GGA-PBE geometry in OQMD; Cu Kα X-rays).
Lines closer than 0.1° are merged.

Peak list (10 most intense, 10 to 90 degrees two-theta, by angle)
hkl  two_theta  d [Å]  I (rel.)
0 2 1  34.02  2.635  28
2 0 0  36.31  2.474  42
1 2 1  38.71  2.326  100
1 0 2  40.05  2.251  52
2 2 1  50.60  1.804  18
0 2 3  62.81  1.479  17
3 2 1  66.92  1.398  20
3 0 2  67.84  1.381  11
1 4 2  74.52  1.273  16
2 2 3  74.77  1.270  20

Cell and atoms:
```
data_GdHfAu6
_chemical_formula_sum 'Gd1 Hf1 Au6'
_space_group_name_H-M_alt 'P m m 2'
_space_group_IT_number 25
_space_group_name_Hall 'P 2 -2'
_cell_length_a 4.9486
_cell_length_b 6.1763
_cell_length_c 5.0560
_cell_angle_alpha 90.00
_cell_angle_beta 90.00
_cell_angle_gamma 90.00
loop_
_atom_site_label
_atom_site_type_symbol
_atom_site_fract_x
_atom_site_fract_y
_atom_site_fract_z
Gd1 Gd 0.0000 0.0000 0.0000
Independent study hours49
Date of course confirmation21.06.2018
Responsible UnitInstitute of Economics and Finance
Dr. oec.
Ekon1024, Microeconomics
Marketing is a course in which students are acquainted with the principles of market operation and the requirements for its participants. By studying this course, students will be able to understand the market operation system, its elements and internal and external factors, to conduct competitors’ analysis and to determine the possibilities for selling products. Students will acquire in-depth knowledge of marketing mix elements: a good or a service, distribution and dissemination of products, promotion of products in a market and price determination; they will study means of communication and comprehend the possibilities of their use. At the end of the course, students will be prepared to choose the most appropriate marketing strategy to reach company’s aims and create a sustainable marketing management system.
Understanding of the theoretical aspects of market operation principles and regularities, the nature of demand and supply in the market in different market competition conditions. Understanding of marketing functions in the company, their provision, solving of related problems. Knowledge of marketing analysis methods, specifics and possibilities of their use. For assessment of knowledge, written test and individual research is organized.
_Materials data that have nothing to do with the entry_
Diffraction record for MgZn2CoO4. The X-ray powder pattern is calculated, not measured: it uses a PBE+U-relaxed structure and Cu Kα, 1.54184 Å.
Intensities are scaled so that the largest is 100.

Structural model:
```
data_MgZn2CoO4
_chemical_formula_sum 'Mg2 Zn4 Co2 O8'
_cell_length_a 4.277
_cell_length_b 4.277
_cell_length_c 8.743
_cell_angle_alpha 90.00
_cell_angle_beta 90.00
_cell_angle_gamma 90.00
_symmetry_space_group_name_H-M 'I -4 m 2'
_symmetry_Int_Tables_number 119
_symmetry_space_group_name_Hall 'I -4 -2'
loop_
_atom_site_label
_atom_site_fract_x
_atom_site_fract_y
_atom_site_fract_z
Mg1 0.000 0.000 0.000
Zn1 0.000 0.000 0.500
Zn2 0.000 0.500 0.250
Co1 0.000 0.500 0.750
O1 0.000 0.000 0.245
O2 0.000 0.500 0.002
```

Principal peaks in the range 10° ≤ 2θ ≤ 80°, in order of rising 2θ:
2θ = 20.31°, rel. 5
2θ = 23.15°, rel. 23
2θ = 36.11°, rel. 99
2θ = 37.34°, rel. 8
2θ = 41.30°, rel. 54
2θ = 42.26°, rel. 100
2θ = 48.73°, rel. 6
2θ = 60.57°, rel. 61
2θ = 61.30°, rel. 29
2θ = 71.92°, rel. 14
2θ = 73.25°, rel. 27
2θ = 76.62°, rel. 28
Ability to analyse a set of marketing mix elements and its management system. Ability to collect information in a practical and goal-oriented way and apply marketing analysis methods to evaluate specific marketing problems. Skills are assessed during discussions and group works as well as in scope of individual work development.
By using theoretical knowledge and practical application of marketing analysis methods, acquired ability to independently and critically analyze the market potential of the product and evaluate the provision of the company's marketing functions, offering specific solutions to promote its competitiveness. Competences are assessed in scope of development of individual work and its presentation.
1. The concept and essence of marketing. (1h lecture, 1h practical work)
2. Characterization of marketing theoretical concepts and driving forces. (1h lecture, 1h practical work)
3. Types of market. Variations in the market demand situation and appropriate marketing approaches. (1h lecture, 1h practical work)
4. Factors of internal and external marketing environment. Marketing environment analysis. (1h lecture, 1h practical work)
5. Product classification. Analysis of the company's product portfolio. (1h lecture, 1h practical work)
6. Market segmentation, target market determination. (1h lecture, 1h practical work)
7. Product positioning and branding strategies. (1h lecture, 1h practical work)
8. Distribution channel participants and their functions. (1h lecture, 1h practical work)
9. Pricing approaches. Pricing policy development. (1h lecture, 1h practical work)
10. The essence of competition, forms, methods of analysis. Identifying competitive advantages. (1h lecture, 1h practical work)
11. Marketing mix element complex - 4P and 7P model. (1h lecture, 1h practical work)
12. Marketing audit and strategic planning. (1h lecture, 1h practical work)
13. Consumer behaviour in the market. (1h lecture, 1h practical work)
14. Marketing communication complex. (1h lecture, 1h practical work)
15. Marketing ethics. Aspects of social responsibility in marketing projects. (1h lecture, 1h practical work)
16. Aspects and problems of the Competition Law, the Advertising Law and the Data Protection Legal Regulation in the implementation of marketing measures. (1h lecture, 1h practical work)
Passed test on theoretical issues of marketing. Positive evaluation for solving practical marketing problems. Positive evaluation of independent work with calculations. Positive evaluation for preparing and presenting of the individual work results at the class.
Development and analysis of marketing mix elements; research of various marketing problems.
Four activities are evaluated in the course: written test; participation in group work in seminars; independent work with calculations; development and presentation of individual research to the audience. Assessment weights: test 20%; activity in group work in seminars 10%; independent work with calculations 20%; research development and presentation on the day of the exam 50%. The exam may be taken only if a successful assessment has been obtained in the test, group work and independent work.
1. Praude V. Mārketings: teorija un prakse. 1. grāmata, 3. izd. Rīga: Burtene, 2011. 522 lpp.
2. Praude V. Mārketings: teorija un prakse. 2. grāmata, 3. izd. Rīga: Burtene, 2011. 348 lpp.
3. 3. Kotler P., Keller K.L. Marketing Management, 14th ed., Pearson Education, 2012. 812p. E-grāmata, pieejama:
1. Baran, Roger J. Customer Relationship Management : the foundation of contemporary marketing strategy, 2nd edition. New York ; London : Routledge/Taylor & Francis Group, 2017, 499p.
2. Handbook of Research on Consumerism in Business and Marketing: Concepts and Practices. Editors: H.R. Kaufmann and M.F.A. Khan Pann. IGI Global, 2014, p.638.
3. Kotler P., Kartajaya H., Setiawan I. Marketing 4.0 Moving from Traditional to Digital, 2016. E-grāmata, pieejama:
4. Kotler P., Meller K.L. Marketing Management. Prentice Hall, 2015, 832p.
5. Kotler P., Meller K.L. Marketing Management. Prentice Hall, 2015, pp.832.
6. Palmer, A. Principles of Services Marketing. Berkshire, 2014, pp. 495.
7. Pilvere I., Nipers A., Krieviņa A., Upīte I. Grīnberga-Zālīte G. Latvijas pārtikas nozares konkurētspējas rādītāju salīdzinošā analīze Latvijā, Lietuvā, Igaunijā, Polijā un Krievijā. Latvijas Lauksaimniecības universitāte, 2014, 200.lpp.
8. Praude V., Šalkovska J. Integrētā mārketinga komunikācija : reklāma, produktu realizācijas veicināšana, tiešais mārketings, interaktīvais mārketings, sabiedriskās saskarsmes, sponsorēšana, personiskā apkalpošana, izstādes, Rīga, Burtene, 2015.
1. Dienas Bizness” , nedēļas laikraksts : Latvijas biznesa avīze
2. “Kapitāls”, Rīga: SIA BIG Media, ISSN 1407-2505
Limited elective course for ESAF professional bachelor study programme “Entrepreneurship and Business Management ”.